Pre-clinical validation of FDA approved molecules able to rescue GAA pre-mRNA splicing of c.-32-13T>G mutants as therapeutic agents for late-onset Pompe Disease

Enzyme replacement therapy (ERT) is the only approved treatment for Pompe disease (PD). Alt-hough ERT improves cardiac function, and lifespan in patients affected by the infantile PD pheno-type, limitations of this approach are becoming evident in particular in patients affected by the late onset forms of PD (LO-PD).
In recent years, our research has been focused on finding solutions for mis-splicing alterations in-duced by the c.-32-13T>G mutation of GAA.
Indeed, the possibility to restore/increase normal splicing of the GAA exon 2 of transcripts carrying the c.-32-13T>G mutation is particularly appealing considering that: (i) almost all LO patients carry this mutation in at least one allele and (ii) some patients express up to 30% of normal GAA activity and just a little increase in exon inclusion might be enough to achieve a beneficial effect in clinical settings.
The article is interrupted by materials data >
-- begin --
Record 1
Material: TaSb2Te
Method: DFT, PBE
State: optimized geometry

## Properties
Crystal system = tetragonal
E_tot = -20.7 eV per cell
Magnetic moment = 0.000 μB/atom
E_form (uncorrected) = 646 meV/atom

abc: 4.1987 4.1987 5.5977
angles: 90.00 90.00 90.00
Closest atoms and distances in Å follow each position.
Space group P4/mmm (No. 123)
Symmetry-distinct sites (fractional):
Ta  0.0000  0.0000  0.0000 (multiplicity 1)  4 Te 2.97
Sb  0.0000  0.5000  0.5000 (multiplicity 2)  4 Sb 2.97
Te  0.5000  0.5000  0.0000 (multiplicity 1)  4 Ta 2.97

=====

Record 2
Material: TaSb2Te
Method: DFT, PBE
State: optimized geometry

## Properties
Crystal system = monoclinic
E_tot = -44.0 eV per cell
Magnetic moment = 0.000 μB/atom
E_form (uncorrected) = 316 meV/atom

abc: 10.7349 3.5383 5.2891
angles: 90.00 101.03 90.00
Closest atoms and distances in Å follow each position.
Space group C2/m (No. 12)
Symmetry-distinct sites (fractional):
Ta  0.0000  0.0000  0.0000 (multiplicity 2)  4 Sb 2.93, 4 Te 3.18
Sb  0.2121  0.5000  0.2134 (multiplicity 4)  2 Ta 2.93, 1 Te 2.97, 2 Sb 3.10
Te  0.0000  0.5000  0.5000 (multiplicity 2)  2 Sb 2.97, 4 Ta 3.18

=====

Record 3
Material: TaSb3Te
Method: DFT, PBE
State: optimized geometry

## Properties
Crystal system = cubic
E_tot = -18.9 eV per cell
Relative energy among the computed polymorphs = 1286 meV/atom
Magnetic moment = 0.000 μB/atom
E_form (uncorrected) = 1695 meV/atom

abc: 5.5226 5.5226 5.5226
angles: 90.00 90.00 90.00
Closest atoms and distances in Å follow each position.
Space group Pm-3m (No. 221)
Symmetry-distinct sites (fractional):
Ta  0.0000  0.0000  0.0000 (multiplicity 1)  12 Sb 3.91
Sb  0.0000  0.5000  0.5000 (multiplicity 3)  2 Te 2.76
Te  0.5000  0.5000  0.5000 (multiplicity 1)  6 Sb 2.76

=====

Record 4
Material: TaSb2Te
Method: DFT, PBE
State: optimized geometry

## Properties
Crystal system = orthorhombic
E_tot = -45.7 eV per cell
Magnetic moment = 0.000 μB/atom
E_form (uncorrected) = 102 meV/atom

abc: 3.8485 4.8460 11.5019
angles: 90.00 90.00 90.00
Closest atoms and distances in Å follow each position.
Space group Cmmm (No. 65)
Symmetry-distinct sites (fractional):
Ta  0.0000  0.0000  0.0000 (multiplicity 2)  4 Sb 2.91, 4 Ta 3.09
Sb  0.0000  0.5000  0.1900 (multiplicity 4)  2 Ta 2.91, 4 Sb 3.09
Te  0.0000  0.0000  0.5000 (multiplicity 2)  4 Te 3.09

=====

Record 5
Material: TaSb2Te
Method: DFT, PBE
State: optimized geometry

## Properties
Crystal system = orthorhombic
E_tot = -44.1 eV per cell
Magnetic moment = 0.000 μB/atom
E_form (uncorrected) = 296 meV/atom

abc: 3.4819 4.7758 12.5109
angles: 90.00 90.00 90.00
Closest atoms and distances in Å follow each position.
Space group Immm (No. 71)
Symmetry-distinct sites (fractional):
Ta  0.0000  0.0000  0.0000 (multiplicity 2)  4 Sb 2.92, 4 Te 2.96
Sb  0.0000  0.5000  0.3125 (multiplicity 4)  2 Ta 2.92
Te  0.0000  0.0000  0.5000 (multiplicity 2)  4 Ta 2.96

=====

Record 6
Material: TaSb2Te
Method: DFT, PBE
State: optimized geometry

## Properties
-- stop --
Here the article continues >
We already provided in vitro evidence showing that it is possible to increase the expression of normal spliced GAA mRNA of c.-32-13T>G mutated alleles, by targeting a specific silencer within exon 2 with a combination of Antisense Morpholino Oligonucleotides (AMOs). Most importantly us-ing this strategy we have shown that in the context of the c.-32-13T>G mutation, a 70% increase of the residual GAA activity is enough to partially correct the intracellular glycogen storage. Although these results are encouraging, further studies would be needed to test the efficacy and the delivery of the AMOs to skeletal muscle in vivo. However, no animal models of PD carrying this particular mutation are available, making pre-clinical studies extremely difficult.
An alternative promising approach to restore normal splicing of mutated transcripts is the use of small molecules that modify splicing patterns. These therapeutic agents offer several advantages compared to nucleic acid based therapies, including lower manufacturing costs and oral delivera-bility. In addition, many small molecules are already approved by FDA; therefore they could be easily translated from the bench to the bedside.
Thus, with the aim of identifying small molecules able to rescue/increase exon 2 GAA inclusion we have set up a splicing reporter system and screened a library of 1270 FDA approved compounds. We have already identified several compounds capable of significantly improving exon 2 inclusion in the presence of the c.32-13T>G mutation. Furthermore, treatment of patient fibroblasts carrying the c.-32-13T>G mutation with the most promising hit in the screening analysis, resulted in a 4-fold increase in exon 2 inclusion.
Therefore, the aims of this project will be to validate the effect of this compound and other com-mercially available analogs on exon 2 inclusion, GAA activity and glycogen storage in myotubes from LO-PD patients carrying the c.-32-13T>G mutation and to elucidate the mechanism of action and the metabolic pathways altered by the drug. This information will then be used to search for other types of FDA-approved drugs that acting on the same pathways that might be more effective in promoting exon 2 inclusion.
The results of this research will provide pre-clinical data to support the use of FDA approved ther-apeutic agents in LO-PD.
## These calculated crystals were left in the article by mistake
+++
1.
A relaxed La8H3C3N crystal, computed with GGA-PBE.

a = 7.5153 Å, b = 7.5154 Å, c = 7.7637 Å
α = 118.98°, β = 90.00°, γ = 120.00°
Last column: magnetic moment on the atom in μB.
Element x y z (fractional)
La (0.2560, 0.5120, 0.2684)  0.00
La (0.7440, 0.4880, 0.7316)  0.00
La (0.7606, 0.5212, 0.2780)  0.06
La (0.2394, 0.4788, 0.7220)  0.06
La (0.7605, 0.0171, 0.2780)  0.06
La (0.2395, 0.9829, 0.7220)  0.06
La (0.2566, 0.0171, 0.2780)  0.06
La (0.7434, 0.9829, 0.7220)  0.06
H (0.0000, 0.0000, 0.0000)  0.00
H (0.0000, 0.5000, 0.0000)  0.00
H (0.5000, 0.5000, 0.0000)  0.00
C (0.5000, 0.0000, 0.5000)  -0.01
C (0.5000, 0.5000, 0.5000)  -0.01
C (0.0000, 0.5000, 0.5000)  -0.01
N (0.0000, 0.0000, 0.5000)  0.03

Results
E = -6.124 eV/atom
Magnetization = 1.27 μB per formula unit
SG = R-3m, No. 166
Fermi-level density of states = 7.7 states/eV/cell
Crystal system = trigonal

=====

2.
A relaxed SnBRu2Pt crystal, computed with GGA-PBE.

a = 4.1989 Å, b = 4.1989 Å, c = 4.1322 Å
α = 90.00°, β = 90.00°, γ = 90.00°
Element x y z (fractional)
Ru (0.0000, 0.5000, 0.0000)
Ru (0.5000, 0.0000, 0.0000)
B (0.0000, 0.0000, 0.0000)
Sn (0.5000, 0.5000, 0.5000)
Pt (0.0000, 0.0000, 0.5000)

Results
E = -7.162 eV/atom
Magnetization = 0.00 μB per formula unit
SG = P4/mmm, No. 123
Fermi-level density of states = 3.2 states/eV/cell
Crystal system = tetragonal
Energy relative to the elements = -107.3 meV per atom

~~~~~

(1)
Entry from the Alexandria database: TbNd12Tl6 after structural relaxation (GGA-PBE).

Output
Calculated formation energy, kJ/mol of formula units: -301
Density of states at the Fermi level, states/eV/f.u.: 18.75

a = 8.4360 Å, b = 8.4360 Å, c = 8.4360 Å
α = 88.82°, β = 88.82°, γ = 88.82°
Closest atoms and distances in Å follow each position.
Sites, in units of the cell vectors:
Tb (0.0000, 0.0000, 0.0000)  6 Tl 3.31, 6 Nd 3.50
Nd (0.0803, 0.3846, 0.1202)  3 Nd 3.10-3.38, 1 Tl 3.32
Nd (0.1202, 0.0803, 0.3846)  3 Nd 3.10-3.38, 1 Tl 3.32
Nd (0.1921, 0.5642, 0.4702)  4 Tl 3.32-3.50, 4 Nd 3.46-3.55
Nd (0.3846, 0.1202, 0.0803)  3 Nd 3.10-3.38, 1 Tl 3.32
Nd (0.4358, 0.5298, 0.8079)  4 Tl 3.32-3.50, 4 Nd 3.46-3.55
Nd (0.4702, 0.1921, 0.5642)  4 Tl 3.32-3.50, 4 Nd 3.46-3.55
Nd (0.5298, 0.8079, 0.4358)  4 Tl 3.32-3.50, 4 Nd 3.46-3.55
Nd (0.5642, 0.4702, 0.1921)  4 Tl 3.32-3.50, 4 Nd 3.46-3.55
Nd (0.6154, 0.8798, 0.9197)  3 Nd 3.10-3.38, 1 Tl 3.32
Nd (0.8079, 0.4358, 0.5298)  4 Tl 3.32-3.50, 4 Nd 3.46-3.55
Nd (0.8798, 0.9197, 0.6154)  3 Nd 3.10-3.38, 1 Tl 3.32
Nd (0.9197, 0.6154, 0.8798)  3 Nd 3.10-3.38, 1 Tl 3.32
Tl (0.1260, 0.2763, 0.7452)  1 Tb 3.31, 7 Nd 3.32-3.51, 2 Tl 3.55
Tl (0.2548, 0.8740, 0.7237)  1 Tb 3.31, 7 Nd 3.32-3.51, 2 Tl 3.55
Tl (0.2763, 0.7452, 0.1260)  1 Tb 3.31, 7 Nd 3.32-3.51, 2 Tl 3.55
Tl (0.7237, 0.2548, 0.8740)  1 Tb 3.31, 7 Nd 3.32-3.51, 2 Tl 3.55
Tl (0.7452, 0.1260, 0.2763)  1 Tb 3.31, 7 Nd 3.32-3.51, 2 Tl 3.55
Tl (0.8740, 0.7237, 0.2548)  1 Tb 3.31, 7 Nd 3.32-3.51, 2 Tl 3.55

(2)
+++

Andrea Dardis
Acid Maltase Deficiency Association
Acid Maltase Deficiency Association (AMDA)
finanziamento totale
200.000,00 Dollari USA
finanziamento asufc
Attached: records of crystals:
'''
Entry 1:
Computed, not measured: crystalline KUTe2Pd at its relaxed geometry at the PBE level of DFT.

## Properties
- Formation energy (no corrections): -0.62 eV/atom
- Raw total energy: -0.1980 hartree per atom
- Crystal system: monoclinic

Cell and atoms, written as CIF:
```
data_KUTe2Pd
_chemical_formula_sum 'K2 U2 Te4 Pd2'
_cell_length_a 9.1903
_cell_length_b 4.7348
_cell_length_c 7.7683
_cell_angle_alpha 90.00
_cell_angle_beta 99.00
_cell_angle_gamma 90.00
_space_group_name_H-M_alt 'P 1 2/c 1'
_space_group_IT_number 13
loop_
_space_group_symop_operation_xyz
'x,y,z'
'-x,-y,-z'
'-x,y,-z+1/2'
'x,-y,z+1/2'
loop_
_atom_site_label
_atom_site_type_symbol
_atom_site_fract_x
_atom_site_fract_y
_atom_site_fract_z
K1 K 0.0000 0.2136 0.2500
U1 U 0.5000 0.4972 0.7500
Te1 Te 0.2517 0.2849 0.9559
Pd1 Pd 0.5000 0.0000 0.0000
```

Entry 2:
Computed, not measured: crystalline SiAsPdSe2 at its relaxed geometry at the PBE level of DFT.

## Properties
- Formation energy (no corrections): 0.61 eV/atom
- Raw total energy: -0.1409 hartree per atom
- Crystal system: tetragonal
- Energy above the most stable polymorph in this dataset: 0.000 eV per atom

Cell and atoms, written as CIF:
```
data_SiAsPdSe2
_chemical_formula_sum 'Si1 As1 Pd1 Se2'
_cell_length_a 4.7626
_cell_length_b 4.7626
_cell_length_c 4.7612
_cell_angle_alpha 90.00
_cell_angle_beta 90.00
_cell_angle_gamma 90.00
_space_group_name_H-M_alt 'P 4/m m m'
_space_group_IT_number 123
_space_group_name_Hall '-P 4 2'
loop_
_atom_site_label
_atom_site_type_symbol
_atom_site_fract_x
_atom_site_fract_y
_atom_site_fract_z
Si1 Si 0.0000 0.0000 0.0000
As1 As 0.0000 0.0000 0.5000
Pd1 Pd 0.5000 0.5000 0.5000
Se1 Se 0.0000 0.5000 0.0000
```

Entry 3:
Computed, not measured: crystalline AcZnF5 at its relaxed geometry at the PBE level of DFT.

## Properties
- Formation energy (no corrections): -3.29 eV/atom
- Raw total energy: -0.1984 hartree per atom
- Crystal system: orthorhombic
- Energy above the most stable polymorph in this dataset: 0.038 eV per atom

Cell and atoms, written as CIF:
```
data_AcZnF5
_chemical_formula_sum 'Ac2 Zn2 F10'
_cell_length_a 4.2132
_cell_length_b 6.8106
_cell_length_c 8.7368
_cell_angle_alpha 90.00
_cell_angle_beta 90.00
_cell_angle_gamma 90.00
_space_group_name_H-M_alt 'I m m m'
_space_group_IT_number 71
_space_group_name_Hall '-I 2 2'
loop_
_atom_site_label
_atom_site_type_symbol
_atom_site_fract_x
_atom_site_fract_y
_atom_site_fract_z
Ac1 Ac 0.0000 0.0000 0.0000
Zn1 Zn 0.0000 0.0000 0.5000
F1 F 0.0000 0.0000 0.2688
F2 F 0.0000 0.3045 0.5000
F3 F 0.0000 0.5000 0.0000
```

Entry 4:
Computed, not measured: crystalline GdYAgGe at its relaxed geometry at the PBE level of DFT.

## Properties
- Raw total energy: -0.2777 hartree per atom
- Crystal system: cubic

Cell and atoms, written as CIF:
```
data_GdYAgGe
_chemical_formula_sum 'Gd4 Y4 Ag4 Ge4'
_cell_length_a 7.2252
_cell_length_b 7.2252
_cell_length_c 7.2252
_cell_angle_alpha 90.00
_cell_angle_beta 90.00
_cell_angle_gamma 90.00
'''
100.000,00 Dollari USA
data di avvio
sabato 1 giugno 2019
data di scadenza
martedì 31 maggio 2022